What is needed: print the block further down from the first line to the one with "0.321" with every line break kept.

(1)
Here is a relaxed YCd2Se crystal from the Alexandria database. Energies are from PBE.

The density of states at the Fermi level is 3.65 states/eV per cell. The calculated total energy comes out at -3.558 eV per atom. The calculation puts the magnetic moment at 0.0 Bohr magnetons per cell. The calculation puts the formation energy without anion corrections at -614 meV/atom. The calculation puts the volume at 208 Å³/cell.

Cell: 5.715 5.777 6.308 Å, 90.00 90.00 90.00°
Element x y z (fractional)
Y  0.000  0.000  0.000
Y  0.500  0.500  0.000
Cd  0.000  0.249  0.500
Cd  0.000  0.751  0.500
Cd  0.500  0.251  0.500
Cd  0.500  0.749  0.500
Se  0.000  0.500  0.000
Se  0.500  0.000  0.000

=====

(2)
Here is a relaxed Sr2LiSmTe4 crystal from the Alexandria database. Energies are from PBE.

The calculated total energy comes out at -4.305 eV per atom. The calculation puts the magnetic moment at 0.0 Bohr magnetons per cell. The calculation puts the formation energy without anion corrections at -1484 meV/atom. The calculation puts the volume at 272 Å³/cell.

Cell: 7.908 4.599 7.915 Å, 90.00 108.99 90.00°
Element x y z (fractional)
Sr  0.000  0.000  0.000
Sr  0.500  0.500  0.000
Li  0.000  0.500  0.500
Sm  0.500  0.000  0.500
Te  0.245  0.000  0.730
Te  0.254  0.500  0.270
Te  0.746  0.500  0.730
Te  0.755  0.000  0.270

=====

(3)
Here is a relaxed Fe2NiAu crystal from the Alexandria database. Energies are from PBE.

The density of states at the Fermi level is 2.51 states/eV per cell. The calculated total energy comes out at -6.420 eV per atom. The calculation puts the magnetic moment at 6.4 Bohr magnetons per cell. Its formation energy is 0.076 eV/atom. The calculation puts the volume at 53 Å³/cell. Its distance to the lowest polymorph of the same formula is 0.0151 eV/atom.

Cell: 2.688 3.725 5.342 Å, 90.00 90.00 90.00°
Element x y z (fractional)
Fe  0.000  0.000  0.222
Fe  0.000  0.000  0.778
Ni  0.500  0.500  0.000
Au  0.500  0.500  0.500

=====

(4)
Here is a relaxed Li2CaMnH6 crystal from the Alexandria database. Energies are from PBE.

The density of states at the Fermi level is 4.46 states/eV per cell. The calculated total energy comes out at -3.789 eV per atom. The calculation puts the magnetic moment at 2.0 Bohr magnetons per cell. The calculation puts the volume at 168 Å³/cell.

Cell: 4.839 5.191 8.184 Å, 90.00 124.96 90.00°
Element x y z (fractional)
Li  0.218  0.005  0.219
Li  0.218  0.495  0.719
Li  0.782  0.505  0.281
Li  0.782  0.995  0.781
Ca  0.000  0.000  0.500
Ca  0.000  0.500  0.000
Mn  0.500  0.000  0.000
Mn  0.500  0.500  0.500
H  0.191  0.139  0.989
H  0.191  0.361  0.489
H  0.194  0.703  0.345
H  0.194  0.797  0.845
H  0.466  0.179  0.820
H  0.466  0.321  0.320
H  0.534  0.679  0.680
H  0.534  0.821  0.180
H  0.806  0.203  0.155
H  0.806  0.297  0.655
H  0.809  0.639  0.511
H  0.809  0.861  0.011

=====

(5)
Here is a relaxed AgPd2Rh crystal from the Alexandria database. Energies are from PBE.

The density of states at the Fermi level is 28.30 states/eV per cell. The calculated total energy comes out at -4.926 eV per atom. The calculation puts the magnetic moment at 0.0 Bohr magnetons per cell. Its formation energy is 0.221 eV/atom. The calculation puts the volume at 252 Å³/cell. Its distance to the lowest polymorph of the same formula is 0.1627 eV/atom.

Cell: 6.318 6.318 6.318 Å, 90.00 90.00 90.00°
Element x y z (fractional)
Ag  0.000  0.000  0.000
Ag  0.000  0.500  0.500
Ag  0.500  0.000  0.500
Ag  0.500  0.500  0.000
Pd  0.250  0.250  0.250
Pd  0.250  0.250  0.750
Pd  0.250  0.750  0.250
Pd  0.250  0.750  0.750
Pd  0.750  0.250  0.250
Pd  0.750  0.250  0.750
Pd  0.750  0.750  0.250
Pd  0.750  0.750  0.750
Rh  0.000  0.000  0.500
Rh  0.000  0.500  0.000
Rh  0.500  0.000  0.000
Rh  0.500  0.500  0.500

=====

(6)
Here is a relaxed PmZnGa2Ni4 crystal from the Alexandria database. Energies are from PBE.

(1)
Here is a relaxed YCd2Se crystal from the Alexandria database. Energies are from PBE.

The density of states at the Fermi level is 3.65 states/eV per cell. The calculated total energy comes out at -3.558 eV per atom. The calculation puts the magnetic moment at 0.0 Bohr magnetons per cell. The calculation puts the formation energy without anion corrections at -614 meV/atom. The calculation puts the volume at 208 Å³/cell.

Cell: 5.715 5.777 6.308 Å, 90.00 90.00 90.00°
Element x y z (fractional)
Y  0.000  0.000  0.000
Y  0.500  0.500  0.000
Cd  0.000  0.249  0.500
Cd  0.000  0.751  0.500
Cd  0.500  0.251  0.500
Cd  0.500  0.749  0.500
Se  0.000  0.500  0.000
Se  0.500  0.000  0.000

=====

(2)
Here is a relaxed Sr2LiSmTe4 crystal from the Alexandria database. Energies are from PBE.

The calculated total energy comes out at -4.305 eV per atom. The calculation puts the magnetic moment at 0.0 Bohr magnetons per cell. The calculation puts the formation energy without anion corrections at -1484 meV/atom. The calculation puts the volume at 272 Å³/cell.

Cell: 7.908 4.599 7.915 Å, 90.00 108.99 90.00°
Element x y z (fractional)
Sr  0.000  0.000  0.000
Sr  0.500  0.500  0.000
Li  0.000  0.500  0.500
Sm  0.500  0.000  0.500
Te  0.245  0.000  0.730
Te  0.254  0.500  0.270
Te  0.746  0.500  0.730
Te  0.755  0.000  0.270

=====

(3)
Here is a relaxed Fe2NiAu crystal from the Alexandria database. Energies are from PBE.

The density of states at the Fermi level is 2.51 states/eV per cell. The calculated total energy comes out at -6.420 eV per atom. The calculation puts the magnetic moment at 6.4 Bohr magnetons per cell. Its formation energy is 0.076 eV/atom. The calculation puts the volume at 53 Å³/cell. Its distance to the lowest polymorph of the same formula is 0.0151 eV/atom.

Cell: 2.688 3.725 5.342 Å, 90.00 90.00 90.00°
Element x y z (fractional)
Fe  0.000  0.000  0.222
Fe  0.000  0.000  0.778
Ni  0.500  0.500  0.000
Au  0.500  0.500  0.500

=====

(4)
Here is a relaxed Li2CaMnH6 crystal from the Alexandria database. Energies are from PBE.

The density of states at the Fermi level is 4.46 states/eV per cell. The calculated total energy comes out at -3.789 eV per atom. The calculation puts the magnetic moment at 2.0 Bohr magnetons per cell. The calculation puts the volume at 168 Å³/cell.

Cell: 4.839 5.191 8.184 Å, 90.00 124.96 90.00°
Element x y z (fractional)
Li  0.218  0.005  0.219
Li  0.218  0.495  0.719
Li  0.782  0.505  0.281
Li  0.782  0.995  0.781
Ca  0.000  0.000  0.500
Ca  0.000  0.500  0.000
Mn  0.500  0.000  0.000
Mn  0.500  0.500  0.500
H  0.191  0.139  0.989
H  0.191  0.361  0.489
H  0.194  0.703  0.345
H  0.194  0.797  0.845
H  0.466  0.179  0.820
H  0.466  0.321  0.320